Thursday, October 25, 2012

**Calculated crystals that have nothing to do with the piece**
'''
Calculated X-ray powder pattern of Ba2NaTcN6 for Cu Kα, from a GGA-PBE-relaxed structure.
No peak broadening, texture or thermal motion is included.

Crystal structure
```
Ba2NaTcN6
1.0
-3.0169 3.0169 4.2698
3.0169 -3.0169 4.2698
3.0169 3.0169 -4.2698
Ba Na Tc N
2 1 1 6
Direct
0.2500 0.7500 0.5000 Ba
0.7500 0.2500 0.5000 Ba
0.0000 0.0000 0.0000 Na
0.5000 0.5000 0.0000 Tc
0.2652 0.2771 0.5424 N
0.2711 0.2711 0.0000 N
0.2771 0.7348 0.0119 N
0.7229 0.2652 0.9881 N
0.7289 0.7289 0.0000 N
0.7348 0.7229 0.4576 N
```

Main lines, by angle (10° ≤ 2θ ≤ 80°):
Position (°2θ)  I (rel.)
18.00  14
20.81  10
29.60  100
36.47  13
42.36  30
47.65  6
52.53  40
61.45  18
69.67  18
77.48  6

Calculated X-ray powder pattern of Ba2NbNO3 for Cu Kα, from a GGA-PBE-relaxed structure.
No peak broadening, texture or thermal motion is included.

Crystal structure
```
Ba2NbNO3
1.0
6.6831 -2.9418 0.0000
6.6831 2.9418 0.0000
0.0000 0.0000 5.8447
Ba Nb N O
4 2 2 6
Direct
0.0925 0.6168 0.7500 Ba
0.3832 0.9075 0.7500 Ba
0.6168 0.0925 0.2500 Ba
0.9075 0.3832 0.2500 Ba
0.2693 0.7307 0.2500 Nb
0.7307 0.2693 0.7500 Nb
0.5000 0.5000 0.0000 N
0.5000 0.5000 0.5000 N
0.0000 0.0000 0.0000 O
0.0000 0.0000 0.5000 O
0.0864 0.6067 0.2500 O
0.3933 0.9136 0.2500 O
0.6067 0.0864 0.7500 O
0.9136 0.3933 0.7500 O
```

Main lines, by angle (10° ≤ 2θ ≤ 80°):
Position (°2θ)  I (rel.)
29.43  100
30.38  32
30.59  32
40.13  9
40.49  13
43.66  31
51.59  9
53.40  18
53.66  19
61.06  14

Calculated X-ray powder pattern of Ba3NdN3 for Cu Kα, from a GGA-PBE-relaxed structure.
No peak broadening, texture or thermal motion is included.

Crystal structure
```
Ba3NdN3
1.0
5.2866 -5.7862 0.0000
5.2866 5.7862 0.0000
0.0000 0.0000 5.8806
Ba Nd N
6 2 6
Direct
0.1042 0.8958 0.7500 Ba
0.1384 0.3822 0.7500 Ba
0.3822 0.1384 0.2500 Ba
0.6178 0.8616 0.7500 Ba
0.8616 0.6178 0.2500 Ba
0.8958 0.1042 0.2500 Ba
0.3347 0.6653 0.2500 Nd
0.6653 0.3347 0.7500 Nd
0.1350 0.8650 0.2500 N
0.1621 0.4037 0.2500 N
0.4037 0.1621 0.7500 N
0.5963 0.8379 0.2500 N
0.8379 0.5963 0.7500 N
0.8650 0.1350 0.7500 N
```

Main lines, by angle (10° ≤ 2θ ≤ 80°):
Position (°2θ)  I (rel.)
27.43  100
30.40  29
30.91  20
33.91  20
43.90  15
46.18  17
46.54  12
52.22  17
56.61  13
56.81  13

Calculated X-ray powder pattern of BaNiN for Cu Kα, from a GGA-PBE-relaxed structure.
No peak broadening, texture or thermal motion is included.

Crystal structure
```
BaNiN
1.0
9.6903 0.0000 0.0000
0.0000 13.7021 0.0000
0.0000 0.0000 5.4191
Ba Ni N
12 12 12
Direct
0.0033 0.2500 0.0197 Ba
0.1724 0.0882 0.4737 Ba
0.1724 0.4118 0.4737 Ba
0.3276 0.5882 0.9737 Ba
0.3276 0.9118 0.9737 Ba
0.4967 0.7500 0.5197 Ba
0.5033 0.2500 0.4803 Ba
0.6724 0.0882 0.0263 Ba
0.6724 0.4118 0.0263 Ba
0.8276 0.5882 0.5263 Ba
0.8276 0.9118 0.5263 Ba
0.9967 0.7500 0.9803 Ba
0.0000 0.0000 0.0000 Ni
0.0000 0.5000 0.0000 Ni
0.1460 0.6619 0.4413 Ni
0.1460 0.8381 0.4413 Ni
0.3540 0.1619 0.9413 Ni
0.3540 0.3381 0.9413 Ni
0.5000 0.0000 0.5000 Ni
0.5000 0.5000 0.5000 Ni
0.6460 0.6619 0.0587 Ni
'''
**The calculated crystals stop here**

FORGIVE & YOU CAN BEGIN TO HEAL #incest #child sexual abuse #abuse

This morning I came across a profound statement by P.J. McClure, founder of the MINDSET MAVEN.  McClure mentors executives and business owners on how to live their lives fully while building success. I found Mr. McClure via a Ronae Jull, who writes incredibly helpful articles for people like you and me who are survivors of one kind of abuse or another. Her blog posts can be found under HOPE COACHING.

Now you may well ask what does someone who mentors business men have to offer me, a victim trying to get on my feet again after being abused. Well here's what P.J. McClure wrote:

"Abuse can bring two, very real, psychological tyrants into the victim’s life. Resentment and /or guilt. Both of these serve to restrict and damage our personal movement. No matter how many years have come and gone, the lingering effects of this destructive duo hamper even the strongest person."

Whoa! How true is that? And there's more: 

"Both guilt and resentment have a unique characteristic. They do absolutely NOTHING to the abuser. No matter how much we make ourselves ill with guilt, anger, or depression… it does not exact any measure of justice, revenge, or peace. All it does is make us tired.
We have to break the bondage of abuse and put it to rest for good."
I just bet you can relate to that statement about how it does absolutely nothing to the abuser. How many times have you wished, cried, prayed that your abusers would suddenly see how horrible they have been to you, would realize the harm they've caused, would apologize and set you free from the shame, blame and guilt you were carrying as a result of their actions? I did. I kept hoping my father would somehow wake up and once again become the loving father I should have had and deserved to have. But he never did! He never said he was sorry. He never saw anything wrong with what he was doing. Or if he did, his own needs superseded mine. He found every which way to justify his actions. So expecting him to relent and repent was wishful, useless dreaming on my part. I bet you found the same with your abuser?
But what of the other statement McClure makes that we have to "break the bondage of abuse and put it to rest for good?" The big question, if we want and need to end our suffering, (and who doesn't?) is just how do we do that? How do we stop ourselves from being enslaved by our past, remaining victims of abuse forever, long after the abuse has ended?
I've heard many say that to free themselves, they had to accept first that they themselves were not guilty of any wrong-doing. They had to stop blaming themselves. They had to FORGIVE themselves. This is so true and tantamount to healing and coming out from under at last. But is it enough to fully heal? McClure suggests it's not, and I agree with him. He says you have to FORGIVE the abuser! What, you ask? How can I forgive him/her? Maybe right now you're screaming aloud or silently: "I'll never forgive them for what they did to me!" 
While that's understandable, it most likely means then, that you can never fully heal either. As McClure says:
"First, forgiveness is an inside job. A common misconception is that the offender has to accept your forgiveness. It is possible that the offender doesn’t even realize they have done anything wrong. We cannot accept something we do not see the need for.
All that is required to set you free is offering the forgiveness. By doing so, you release yourself from carrying the pain. Forgiving is not saying what was done is okay or justified. Forgiveness simply means that we aren’t going to carry the burden anymore."

That is profound. I don't even think I'd ever realized until I read his words, that somewhere along the line I had indeed done that, and by doing so, I'd forgiven both myself and my father. After that, it was so much easier to move on, and now, to open up as I have about all of it. 
That leaves only one thing to be addressed: How do we do it? How do we forgive the abuser? McClure says we do it like this:
Finally, forgiveness can be as simple as saying the words, “I forgive you,” or could take time to peel away the layers of pain. Ultimately, our willingness to let the issues go determines how quickly we heal.
Sounds so simple doesn't it. But that's what must be done if you are to heal fully. And you know what? You CAN do it. You can do anything you want, anything you put your mind to. You ARE what you think you are. The adage is true: If you believe, you can achieve. 
Forgive yourselves and forgive your abusers. No, you may never forget, but  you can forgive. And when you forgive, bit by bit you also begin to forget. The memories start fading; the flashbacks decrease; the pain becomes less and you come out from under and land on top. You take back control of your life. You become the one with power. 
Though I'm not a praying person, I'll join McClure in his prayer for you:
"My prayer for all who are in either role, find forgiveness and honor yourself as the gift you are. Shed the burden and allow yourself to be your best."


  1. Wow Viga, I so want to be able to forgive him, and hopefully I will be able to soon. Just can't seem to get those 3 words out yet, but I will be working on it. I want to be healed from all this and I know I am getting there. Thank you for this article and your words, I am glad I read it. ♥

    1. So glad I drew your attention to it. Please read it again and start saying those 3 little words to him every single day. Try it for a week. Then 2. But keep doing it. Your subconscious is your ally. You fed it all the negatives. What you tell it, it holds onto. So now, tell it this every day: "I forgive you".
